Your job: search the material underneath for the word "energy" and restate each line that has it.

Entry 1:
C20H30N5O3Re | ωB97M-V/def2-TZVPD

The geometry in ORCA input format:
```
! RIJCOSX wB97M-V def2-TZVPD def2/J DEFGRID3
* xyz 3 4
Re 0.4721 -0.1738 -0.0050
N 1.3814 -2.1340 0.0146
C 2.8434 -2.0785 0.2923
C 2.9945 -1.1670 1.4806
N 2.3626 0.1556 1.1786
C 2.3152 0.9379 2.4505
C 1.7774 2.3227 2.2109
N 0.4552 2.1823 1.5997
H 0.9299 -2.7269 0.7134
H 1.2053 -2.5727 -0.8893
H 3.3337 -1.6745 -0.5923
H 3.2425 -3.0737 0.4856
H 4.0390 -1.0324 1.7646
H 2.4675 -1.5792 2.3435
H 2.9948 0.6465 0.5432
H 3.3188 0.9751 2.8795
H 1.6759 0.3836 3.1390
H 2.4273 2.8739 1.5257
H 1.7734 2.8742 3.1549
H 0.1082 3.0804 1.2765
H -0.2150 1.8525 2.2896
C 2.5971 -0.0308 -3.8990
C 1.9666 0.6557 -2.7401
O 1.6545 -0.0233 -1.7089
N 1.7341 1.9480 -2.7841
C 1.1600 2.6845 -1.6622
C -0.3301 2.5085 -1.5116
C -1.2023 3.3908 -2.1223
C -2.5663 3.2795 -1.8990
C -3.0166 2.2953 -1.0343
C -2.0966 1.4347 -0.4723
N -0.7772 1.5130 -0.7175
H 3.2594 -0.8181 -3.5460
H 3.1509 0.6595 -4.5314
H 1.8110 -0.4973 -4.4972
H 1.9986 2.4519 -3.6206
H 1.3914 3.7381 -1.8064
H 1.6611 2.3664 -0.7458
H -0.8113 4.1799 -2.7510
H -3.2589 3.9629 -2.3713
H -4.0646 2.1938 -0.7910
H -2.4147 0.6627 0.2154
C -2.7536 -2.5313 -1.6680
C -1.9578 -1.8969 -0.5812
O -0.9736 -1.1875 -0.9840
C -2.2683 -2.0639 0.8021
C -3.3551 -2.8977 1.1731
C -3.6907 -3.0846 2.4897
C -2.9515 -2.4378 3.4862
C -1.8883 -1.6120 3.1681
C -1.5394 -1.4197 1.8384
O -0.5021 -0.5922 1.5965
H -2.3500 -2.2526 -2.6363
H -3.7977 -2.2205 -1.6038
H -2.7368 -3.6183 -1.5671
H -3.9283 -3.3984 0.4068
H -4.5190 -3.7248 2.7560
H -3.2148 -2.5820 4.5259
H -1.3224 -1.1073 3.9380
*
```

## Properties
DFT total energy = -1357.0515 Eh
E_HOMO (alpha / beta) = -0.6343 / -0.6462 Ha

Atomic partial charges in e from the Mulliken method, atoms 1 to 2: 2.49 -0.56

---

Entry 2:
C20H30O15 | ωB97M-V/def2-TZVPD

The geometry in ORCA input format:
```
! RIJCOSX wB97M-V def2-TZVPD def2/J DEFGRID3
* xyz 1 2
C 0.2399 0.7633 -1.3992
C 0.1285 -0.5447 -0.5506
C -0.4318 -1.7224 -1.3978
O 0.6955 -2.6357 -1.3613
C 1.6950 -2.1879 -0.5293
O 2.5263 -2.8651 -0.0275
O 1.4499 -0.8934 -0.1735
H -0.6651 0.9419 -1.9799
H 1.0612 0.7931 -2.1152
H 0.3831 1.6643 -0.8027
H -0.6482 -0.3106 0.1775
H -0.5645 -1.3999 -2.4305
H -1.1948 -2.2996 -0.8755
C -0.9478 4.8488 -2.4124
C -2.2867 4.1478 -2.5866
C -3.4069 4.9837 -1.9907
O -4.3419 5.1243 -2.9814
C -3.9038 4.4715 -4.1558
O -4.4265 4.3390 -5.2863
O -2.7321 3.9103 -3.9343
H -0.1745 4.6650 -3.1583
H -0.5256 4.6154 -1.4350
H -1.1877 5.9121 -2.4043
H -2.1690 3.1994 -2.0625
H -2.9992 5.9280 -1.6298
H -3.7755 4.4143 -1.1374
C 3.9279 -3.9627 2.9982
C 4.5120 -5.1263 3.7585
C 5.3852 -6.0833 3.0006
O 6.5276 -6.2291 3.9165
C 6.5397 -5.3151 4.8108
O 7.3864 -5.1709 5.6788
O 5.5048 -4.5156 4.6000
H 3.5049 -3.1530 3.5928
H 3.0488 -4.0682 2.3624
H 4.6362 -3.4523 2.3456
H 3.7438 -5.5219 4.4229
H 5.8050 -5.7372 2.0561
H 4.9812 -7.0916 2.9095
C -6.6327 0.8122 -3.9167
C -5.2243 0.5684 -3.4784
C -4.8998 0.8602 -2.0516
O -4.0800 -0.2590 -1.7967
C -3.9498 -1.1197 -2.8584
O -3.2995 -2.1621 -2.8148
O -4.7128 -0.6953 -3.7962
H -7.0347 0.5703 -4.9006
H -6.9632 1.8220 -3.6731
H -7.1954 0.1953 -3.2160
H -4.5611 1.2662 -3.9896
H -5.7742 0.8684 -1.4009
H -4.3693 1.8111 -2.0019
C 3.8149 1.5509 2.6013
C 2.6951 0.4485 2.9231
C 2.2483 0.2599 4.3613
O 0.9738 0.9357 4.3414
C 0.5028 0.9863 3.0014
O -0.5242 1.3941 2.5871
O 1.5568 0.7751 2.2260
H 4.5276 1.5217 3.4255
H 3.4095 2.5627 2.6033
H 4.3056 1.3857 1.6421
H 2.9941 -0.5391 2.5719
H 2.8741 0.5264 5.2131
H 2.0173 -0.7816 4.5850
*
```

## Properties
relative energy (zero: lowest compared OMol25 entry of this formula, charge and spin) = 45.9 kJ/mol
DFT total energy = -1908.2686 Eh
E_HOMO (alpha / beta) = -0.4496 / -0.4489 Ha

Atomic partial charges in e from the Mulliken method, atoms 1 to 2: -1.67 0.82

---

Entry 3:
C20H30O19S | ωB97M-V/def2-TZVPD

The geometry in ORCA input format:
```
! RIJCOSX wB97M-V def2-TZVPD def2/J DEFGRID3
* xyz 0 1
C -16.5490 -1.6736 11.5494
C -17.5405 -2.5890 10.8007
O -17.6547 -1.9414 9.5726

DFT total energy = -1357.0515 Eh
relative energy (zero: lowest compared OMol25 entry of this formula, charge and spin) = 45.9 kJ/mol
DFT total energy = -1908.2686 Eh